**Wanted**
Please say how many lines of the listing underneath hold the word "the", as a bare number.

**Given**
~~~
No. 1
# AcHg3Au2
Simulated powder XRD pattern, Cu Kα (λ = 1.5418 Å). Input: a DFT-relaxed cell (PBE, Alexandria).
Kinematic intensities with the Lorentz-polarization factor, no thermal factor.

Atomic structure:
```
AcHg3Au2
1.0
4.515 0.000 0.000
0.000 9.152 0.000
-2.246 -4.575 7.620
Ac Hg Au
2 6 4
Direct
0.136 0.136 0.272
0.864 0.864 0.728
0.000 0.347 0.001
0.000 0.653 0.999
0.332 0.137 0.665
0.332 0.528 0.664
0.668 0.472 0.336
0.668 0.863 0.335
0.209 0.708 0.417
0.500 0.150 0.000
0.500 0.850 0.000
0.791 0.292 0.583
```

Principal peaks in the range 5° ≤ 2θ ≤ 70°, low angle first:
h k l, two_theta, intensity
1 -2 0, 28.38, 415
1 1 1, 32.26, 940
1 2 -3, 32.98, 1000
0 0 3, 35.34, 399
1 -3 2, 37.49, 846
2 0 -1, 39.93, 539
2 0 -4, 54.37, 237
1 3 -6, 60.89, 315


No. 2
# Ac3Hg7Au2
Simulated powder XRD pattern, Cu Kα (λ = 1.5418 Å). Input: a DFT-relaxed cell (PBE, Alexandria).
Kinematic intensities with the Lorentz-polarization factor, no thermal factor.

Atomic structure:
```
Ac3Hg7Au2
1.0
4.953 0.000 0.000
0.000 4.417 0.000
-2.411 0.000 15.496
Ac Hg Au
3 7 2
Direct
0.000 0.000 0.000
0.326 0.500 0.655
0.674 0.500 0.345
0.081 0.500 0.162
0.230 0.000 0.458
0.419 0.000 0.839
0.500 0.500 0.000
0.581 0.000 0.161
0.770 0.000 0.542
0.919 0.500 0.838
0.140 0.000 0.280
0.860 0.000 0.720
```

Principal peaks in the range 5° ≤ 2θ ≤ 70°, low angle first:
h k l, two_theta, intensity
1 1 -2, 28.42, 148
1 1 2, 30.72, 1000
1 1 -4, 33.90, 549
0 0 6, 34.74, 146
2 0 -1, 36.28, 384
0 2 0, 40.84, 332
2 2 -1, 55.78, 250
1 3 2, 68.14, 107


No. 3
# Ac2HgAu8
Simulated powder XRD pattern, Cu Kα (λ = 1.5418 Å). Input: a DFT-relaxed cell (PBE, Alexandria).
Kinematic intensities with the Lorentz-polarization factor, no thermal factor.

Atomic structure:
```
Ac2HgAu8
1.0
4.848 0.000 0.000
0.001 6.952 0.000
2.062 3.451 7.766
Ac Hg Au
2 1 8
Direct
0.092 0.131 0.239
0.908 0.869 0.761
0.000 0.500 0.500
0.141 0.692 0.118
0.369 0.112 0.856
0.369 0.531 0.855
0.497 0.213 0.500
0.503 0.787 0.500
0.631 0.469 0.145
0.631 0.888 0.144
0.859 0.308 0.882
```

Principal peaks in the range 5° ≤ 2θ ≤ 70°, low angle first:
h k l, two_theta, intensity
0 1 3, 31.55, 418
-1 2 1, 32.06, 1000
1 2 2, 32.38, 289
1 1 3, 32.86, 248
0 0 3, 34.65, 434
2 0 1, 37.13, 483
0 3 3, 42.78, 191
3 -2 0, 63.57, 225


No. 4
# Ac2InHgAu6
Simulated powder XRD pattern, Cu Kα (λ = 1.5418 Å). Input: a DFT-relaxed cell (PBE, Alexandria).
Kinematic intensities with the Lorentz-polarization factor, no thermal factor.

Atomic structure:
```
Ac2InHgAu6
1.0
4.296 0.000 0.000
-0.027 7.903 0.000
-0.013 -3.267 7.210
Ac In Hg Au
2 1 1 6
Direct
0.000 0.237 0.262
0.000 0.763 0.738
0.500 0.500 0.000
0.500 0.000 0.500
0.000 0.257 0.757
0.000 0.743 0.243
0.499 0.411 0.617
0.499 0.885 0.091
0.501 0.115 0.909
0.501 0.589 0.383
```

Principal peaks in the range 5° ≤ 2θ ≤ 70°, low angle first:
h k l, two_theta, intensity
1 -2 0, 32.37, 890
1 2 0, 32.50, 881
1 2 -2, 34.12, 1000
1 1 -3, 40.22, 372
2 0 0, 42.12, 876
0 4 -2, 46.11, 349
1 0 -4, 55.20, 249
0 4 -4, 55.32, 288


No. 5
# Li3Ac2HgAu4
Simulated powder XRD pattern, Cu Kα (λ = 1.5418 Å). Input: a DFT-relaxed cell (PBE, Alexandria).
Kinematic intensities with the Lorentz-polarization factor, no thermal factor.

Atomic structure:
```
Li3Ac2HgAu4
1.0
4.500 0.000 0.000
0.000 4.500 0.000
0.000 0.000 11.224
Li Ac Hg Au
3 2 1 4
Direct
0.000 0.000 0.000
0.000 0.500 0.606
0.500 0.000 0.394
0.000 0.500 0.263
0.500 0.000 0.737
0.500 0.500 0.000
0.000 0.000 0.500
0.000 0.500 0.833
0.500 0.000 0.167
0.500 0.500 0.500
```

Principal peaks in the range 5° ≤ 2θ ≤ 70°, low angle first:
h k l, two_theta, intensity
1 0 2, 25.37, 246
1 0 3, 31.09, 167
1 1 2, 32.34, 1000
2 0 0, 40.07, 393
1 0 5, 45.13, 170
2 2 0, 57.97, 138
2 1 5, 61.92, 129
3 1 2, 67.96, 245


No. 6
# Li2AcHgAu2
Simulated powder XRD pattern, Cu Kα (λ = 1.5418 Å). Input: a DFT-relaxed cell (PBE, Alexandria).
Kinematic intensities with the Lorentz-polarization factor, no thermal factor.

Atomic structure:
```
Li2AcHgAu2
~~~

**Here it is**
11